
Love Inn…
Timothee, in France.
Unicorns records
# Misplaced materials data
~~~
(1)
# CaV2O8

A relaxed CaV2O8 crystal (PBE+U, the Materials Project). Values from VASP.

The structure in Quantum ESPRESSO input format:
```
&SYSTEM
  ibrav = 0, nat = 22, ntyp = 3
/
ATOMIC_SPECIES
V 50.94 V.upf
O 16.00 O.upf
Ca 40.08 Ca.upf
CELL_PARAMETERS angstrom
-5.723 2.432 2.065
-0.708 -6.723 -2.918
4.391 -2.378 7.216
ATOMIC_POSITIONS crystal
V 0.602 0.937 0.662
V 0.384 0.569 0.347
V 0.398 0.063 0.338
V 0.616 0.431 0.653
O 0.545 0.158 0.591
O 0.112 0.965 0.251
O 0.587 0.461 0.855
O 0.520 0.642 0.598
O 0.729 0.638 0.349
O 0.455 0.842 0.409
O 0.413 0.539 0.145
O 0.093 0.455 0.298
O 0.480 0.358 0.402
O 0.271 0.362 0.651
O 0.888 0.035 0.749
O 0.907 0.545 0.702
O 0.980 0.577 0.014
O 0.020 0.423 0.986
O 0.517 0.085 0.188
O 0.483 0.915 0.812
Ca 0.691 0.384 0.138
Ca 0.309 0.616 0.862
```

For the energy of formation from the pure elements, the calculation gives -1607 meV per atom. The space-group type is P-1. The calculation puts the spin magnetization at 2.001 μB per formula unit.



(2)
# Mn3TeO6

A relaxed Mn3TeO6 crystal (PBE+U, the Materials Project). Values from VASP.

The structure in Quantum ESPRESSO input format:
```
&SYSTEM
  ibrav = 0, nat = 20, ntyp = 3
/
ATOMIC_SPECIES
Te 127.60 Te.upf
O 16.00 O.upf
Mn 54.94 Mn.upf
CELL_PARAMETERS angstrom
-5.694 2.413 1.342
2.784 4.367 3.628
0.483 3.791 -5.035
ATOMIC_POSITIONS crystal
Te 0.000 0.000 0.000
Te 0.500 0.500 0.500
O 0.956 0.295 0.084
O 0.435 0.570 0.205
O 0.295 0.085 0.955
O 0.916 0.044 0.705
O 0.795 0.564 0.430
O 0.205 0.436 0.570
O 0.044 0.705 0.916
O 0.705 0.915 0.045
O 0.569 0.205 0.435
O 0.565 0.430 0.795
O 0.084 0.956 0.295
O 0.431 0.795 0.565
Mn 0.748 0.562 0.051
Mn 0.252 0.438 0.950
Mn 0.562 0.051 0.748
Mn 0.438 0.949 0.251
Mn 0.949 0.252 0.438
Mn 0.051 0.748 0.562
```

For the energy of formation from the pure elements, the calculation gives -1920 meV per atom. The space-group type is P-1.



(3)
# LiFe2P5O16

A relaxed LiFe2P5O16 crystal (PBE+U, the Materials Project). Values from VASP.

The structure in Quantum ESPRESSO input format:
```
&SYSTEM
  ibrav = 0, nat = 48, ntyp = 4
/
ATOMIC_SPECIES
O 16.00 O.upf
P 30.97 P.upf
Li 6.94 Li.upf
Fe 55.84 Fe.upf
CELL_PARAMETERS angstrom
6.793 0.000 0.000
0.000 5.077 0.000
0.000 0.006 18.805
ATOMIC_POSITIONS crystal
O 0.072 0.062 0.431
O 0.398 0.966 0.917
O 0.572 0.545 0.117
O 0.848 0.151 0.306
O 0.404 0.785 0.789
O 0.368 0.072 0.577
O 0.428 0.545 0.617
O 0.632 0.072 0.077
O 0.021 0.413 0.609
O 0.602 0.966 0.417
O 0.441 0.467 0.892
O 0.229 0.326 0.009
O 0.777 0.644 0.986
O 0.859 0.844 0.197
O 0.559 0.467 0.392
O 0.596 0.785 0.289
O 0.708 0.779 0.858
O 0.141 0.844 0.697
O 0.771 0.326 0.509
O 0.928 0.062 0.931
O 0.979 0.413 0.109
O 0.945 0.944 0.570
O 0.305 0.207 0.137
O 0.590 0.187 0.211
O 0.695 0.207 0.637
O 0.041 0.603 0.889
O 0.055 0.944 0.070
O 0.959 0.603 0.389
O 0.410 0.187 0.711
O 0.152 0.151 0.806
O 0.292 0.779 0.358
O 0.223 0.644 0.486
P 0.259 0.992 0.750
P 0.476 0.750 0.869
P 0.524 0.750 0.369
P 0.741 0.992 0.250
~~~
In orchards, on the misty South West Cornwall shores,
I heard, then it is a statement from our Lore,
They are intelligent, mighty, brave, proud and free.
« The unicorns can fly, to assist, everywhere,
A person who would be facing threat or despair…
And, they also appear sometimes, to those who quest. »
Those creatures are magic itself, in many senses,
They choose you to reveal their mystical presence. »
The virgin, and the wise, and some knights, in the wild…
In Paris a tapestry shows them, dearing a « Dame ».
In the dark
In a wood at night, with no lamp,
Off the tracks, thirsty, with a cramp,
Chased after in an army zone ?
The hits of bullets, missing me !
Yet as I ran, the enemy -
Forces, left my surroundings. Safe.
I came across a trail that lead,
Luckily, soon, to a village,
When war takes you : quickly I fled,
To hide again, in an old mine.
Lady of Glamour, Queen of Charms,
When will you sleep deep in my arms,
Again, whilst suns rise on the shore ?
Our love has caught and casts the last -
Bloom for spring, heart beats like a blast,
They will not cease, never know less…
I am lonely in Paris,
My soul prays sole until the day.
Plenty of laughter, full of bliss,
Might our Lord join us soon, for more !
Christian poem
All the sky, the Sun and the stars,
Please save me Timothee, I hold,
This prayer to my life. I stare…
I hear your voice in my heart, loud !
Thy inner, around or afar,
My animal songs, to Thy howled…
Please keep me in your Paradise,
Where the Angels rule to all eyes !
Please Lord, forgive me if I missed.
For Jesus’ love. Forever his !
Humility, manners, and calm,
If in my heart I sing the psalms,
Of Heaven, then I write my stances !
Through the Love that comes from the Skies,
I shall live ! Under your embrace,
We are meek children, you are wise.
My existence in a prayer,
Then praying helped me, praying eased…
It vanished ! No my days are pleased,
When in devotion, I admire.
I hid a treasure !
At a mansion, in South West France,
In the middle of this immense,
Park - where I often took leisure.
The gold, the gems, the jewelry…
Are kept there - until memory,
Would cess maybe - there they will be.
Out of my reason for hence,
Leaving in Nature, a fortune ?
My life in Heaven if I’m worth…
That’s my only burden, my oath.
A simple life
Who was a generous, charitable person.
Full of kindness, of grace… - She gives inspiration,
To me, painter and poet, I pray her humbly.
And the birds sing aloud in the bushes of flowers…
I love this place, some kids go by, I rest an hour,
Then I get back to my readings - where I pertain.
Tobacco, brew, rarely to a social event,
But I am solitary, I work, or I chant…
To the Angels I see around, secrets, for us,
Only - This is my life ! Simple life in Paris.
Deer king
That a deer might be Lord, of all of the forests…
A white deer ! With a ruby cross seen at his chest,
And four lions flank him, companions, or knighthood.
As the mages, the druids, the bards, often tell.
They say the deer comes with a charm none could repel,
Of life, or death, eternal, according to you.
On my path, I was lost and striving for water.
He disappeared, I collapsed, then fell, but after…
I am not sure ! If I can recall well, I think :
Soon, I found a shelter, guided by dogs barking.
La Madeleine
On the roof of La Madeleine,
Famous church, close to river Seine.
Suddenly I felt all blurry…
« I drugged you... » - He tried to push me.
I bent over a scale. « Implore,
Your God ! » Shouted my enemy.
I kicked him enough, he fainted…
Around us was a cloudy night.
Sat here for a while, I rested,
Climbed down and left !
- Oh, my Lord bless !